Meet Cute…..or is it?
If you are a fan of romantic comedies, you are probably familiar with the term "Meet Cute". It is one of those impossibly charming situations where two fated strangers meet for the first time in a humorous or adorable way before later falling in love. For example, the two future loves bump heads when they simultaneously reach for the same dropped handkerchief. Or maybe both reach for the same cup of coffee at exactly the same moment and sparks fly as their fingers meet. Whatever the situation, the movie leads you down a path of love with the two characters who experienced the aforementioned Meet Cute.
I would like to set the record straight on some situations that are most assuredly not a Meet Cute. For example, stalking. Under no circumstances does stalking ever qualify as a Meet Cute. I don't care how romantic it looked when Lloyd Dobler was lurking outside Diane's window with that boom box in "Say Anything". This is not an appropriate way to find love. People don't like it. It's weird and creepy, so don't do it.
You know what also isn't a Meet Cute? One night stands. Same goes for date rape.
Fellas, listen closely: girls don't like to be raped. It isn't romantic to be taken on a date and then forced to do something we don't want to do. No means no and stop means stop. It isn't cute to push past our boundaries just because you are stronger than we are or because you think you deserve it. We also don't like being taken advantage of when we're too drunk to give a reasonably well thought-out answer. We sure don't like waking up in the morning with a headache and finding out that we had intercourse we don't remember…and that we don't remember agreeing to have. It doesn't matter how we are dressed or how provocatively we are behaving; if you can tell we are drunk then you shouldn't move forward with sex. In the best case scenario you will be remembered as a sad regret. The worst case scenario is where we remember and refer to you forever as "that guy who raped me". That's not cute. Or sexy. In fact, that's what most people would refer to as "a crime". If that is your idea of a Meet Cute, then you need to walk away from your computer because you clearly have begun to believe what pornography is selling you, because pornography is probably the only place where rape is depicted as romantic.
And now for the ladies…
Okay, girls, it's time for you to take a long, truthful look at yourself in the mirror. What are you hoping to see in the relationships you are pursuing? Are you looking for true love? Someone to love and cherish you? If you are putting on your shortest skirts and skimpiest shirts to find true love at a bar or club, then you are going to be disappointed. You'll be especially frustrated in your quest for love if you think you'll find it in a one night stand. Guys don't have one night stands with the girl they want to marry. And even if they did, is that really the way you want to remember your love story?
Grandchild: Grammy, tell me about how you and Grandpop met.
You: Well, I was looking for love so I put on my shortest skirt and my skimpiest top.
Grandchild: Grammy, YOU wore an outfit like that?!
You: Believe it or not, kid, Grammy's cans used to sit on the top shelf…
Grandchild: Huh?
You: I was quite the looker back in my day. Anyways, so I got all dolled up and went to my favorite bar so I could find someone to hook up with. Your Grandpop bought me a drink and then another and before you know it we were both three sheets to the wind. I don't remember much else about that night except that I never could find my underpants.
Grandchild: Ewwww….
You: Your Grandpop and I didn't see each other again until that fateful day when we both showed up at the student health center at the same time to be treated for the same STD. The rest is history!
Girls, this scenario isn't a Meet Cute. It's also not a Meet Cute to be so wasted that you are no longer aware of your surroundings and can no longer protect yourself. You never know which guys are looking to live out some rape fantasy, so you've gotta be ready to look out for your own safety.
The moral of the story is this: If you are looking for love, you won't find it with meaningless (or unwanted) sex. So go put on some respectable clothes and head to the coffee shop or bookstore or church where you have a realistic chance of having a genuine Meet Cute with someone whom you might actually want to know for more than one night.
I would like to set the record straight on some situations that are most assuredly not a Meet Cute. For example, stalking. Under no circumstances does stalking ever qualify as a Meet Cute. I don't care how romantic it looked when Lloyd Dobler was lurking outside Diane's window with that boom box in "Say Anything". This is not an appropriate way to find love. People don't like it. It's weird and creepy, so don't do it.
You know what also isn't a Meet Cute? One night stands. Same goes for date rape.
First-principles (GGA-PBE) data for an optimized crystal structure of LiAl6Zn12, as listed in Alexandria via LeMat-Bulk.

Computed properties:
Crystal system: trigonal
Space-group type: R-3m
Density of states at the Fermi level, states/eV/cell: 6.64
Energy of formation from the pure elements, eV per atom: 0.070
Polymorph energy (0 for the lowest one), kJ/mol of atoms: 8.45

a = 7.2543 Å, b = 7.2543 Å, c = 7.2543 Å
α = 105.66°, β = 105.66°, γ = 105.66°
Sites, in units of the cell vectors:
Li1 0.0000 0.0000 0.0000
Al1 0.2915 0.6879 0.6879
Al2 0.3121 0.3121 0.7085
Al3 0.3121 0.7085 0.3121
Al4 0.6879 0.2915 0.6879
Al5 0.6879 0.6879 0.2915
Al6 0.7085 0.3121 0.3121
Zn1 0.1086 0.3413 0.3413
Zn2 0.1093 0.5000 0.8907
Zn3 0.1093 0.8907 0.5000
Zn4 0.3413 0.1086 0.3413
Zn5 0.3413 0.3413 0.1086
Zn6 0.5000 0.1093 0.8907
Zn7 0.5000 0.8907 0.1093
Zn8 0.6587 0.6587 0.8914
Zn9 0.6587 0.8914 0.6587
Zn10 0.8907 0.1093 0.5000
Zn11 0.8907 0.5000 0.1093
Zn12 0.8914 0.6587 0.6587

----------

(1)
Here is crystalline UP2Ru at its relaxed geometry from Alexandria. Energies are from GGA-PBE.

The structure in POSCAR format:
```
UP2Ru
1.0
3.741 0.000 0.000
1.871 3.240 0.000
1.871 1.080 5.846
U P Ru
1 2 1
Cartesian
5.612 3.240 5.781
1.871 1.080 4.055
1.871 1.080 1.651
3.741 2.160 3.128
```

Properties
The space-group type is R3m. For the total magnetization, the calculation gives 2.0 μB per formula unit. The energy relative to the lowest polymorph listed for this composition comes out at 237 meV per atom. The density of states at the Fermi level comes out at 6.95 states/eV per cell. The value obtained for the total energy is -33.62 eV per cell.



(2)
Here is crystalline U3P4Ru4 at its relaxed geometry from Alexandria. Energies are from GGA-PBE.

The structure in POSCAR format:
```
U3P4Ru4
1.0
-2.061 3.293 0.614
0.356 1.500 -6.849
-4.597 -5.622 2.128
U P Ru
3 4 4
Cartesian
-1.089 -0.644 -0.198
-5.213 -0.184 -3.909
0.178 0.750 -3.424
-2.249 -0.686 -3.865
-4.053 -0.142 -0.242
-0.753 2.813 -5.018
-0.951 1.980 -1.217
-3.592 -2.385 0.735
-2.852 0.955 -2.093
-2.709 1.556 -4.842
-3.449 -1.783 -2.014
```

Properties
The space-group type is Immm. For the total magnetization, the calculation gives 1.7 μB per formula unit. The energy relative to the lowest polymorph listed for this composition comes out at 0 meV per atom. The density of states at the Fermi level comes out at 14.46 states/eV per cell. The value obtained for the total energy is -101.71 eV per cell.



(3)
Here is crystalline U2P2Ru at its relaxed geometry from Alexandria. Energies are from GGA-PBE.

The structure in POSCAR format:
```
U2P2Ru
1.0
3.939 0.000 0.000
0.000 6.793 0.000
-1.969 0.000 7.047
U P Ru
4 4 2
Cartesian
1.969 4.732 6.174
1.969 2.901 4.409
0.000 6.297 2.638
0.000 1.335 0.873
0.000 2.782 6.381
1.969 0.124 4.480
0.000 3.520 2.567
1.969 6.179 0.666
0.000 0.564 5.689
1.969 3.960 1.358
```

Properties
Fellas, listen closely: girls don't like to be raped. It isn't romantic to be taken on a date and then forced to do something we don't want to do. No means no and stop means stop. It isn't cute to push past our boundaries just because you are stronger than we are or because you think you deserve it. We also don't like being taken advantage of when we're too drunk to give a reasonably well thought-out answer. We sure don't like waking up in the morning with a headache and finding out that we had intercourse we don't remember…and that we don't remember agreeing to have. It doesn't matter how we are dressed or how provocatively we are behaving; if you can tell we are drunk then you shouldn't move forward with sex. In the best case scenario you will be remembered as a sad regret. The worst case scenario is where we remember and refer to you forever as "that guy who raped me". That's not cute. Or sexy. In fact, that's what most people would refer to as "a crime". If that is your idea of a Meet Cute, then you need to walk away from your computer because you clearly have begun to believe what pornography is selling you, because pornography is probably the only place where rape is depicted as romantic.
And now for the ladies…
Okay, girls, it's time for you to take a long, truthful look at yourself in the mirror. What are you hoping to see in the relationships you are pursuing? Are you looking for true love? Someone to love and cherish you? If you are putting on your shortest skirts and skimpiest shirts to find true love at a bar or club, then you are going to be disappointed. You'll be especially frustrated in your quest for love if you think you'll find it in a one night stand. Guys don't have one night stands with the girl they want to marry. And even if they did, is that really the way you want to remember your love story?
Grandchild: Grammy, tell me about how you and Grandpop met.
You: Well, I was looking for love so I put on my shortest skirt and my skimpiest top.
Grandchild: Grammy, YOU wore an outfit like that?!
You: Believe it or not, kid, Grammy's cans used to sit on the top shelf…
Grandchild: Huh?
You: I was quite the looker back in my day. Anyways, so I got all dolled up and went to my favorite bar so I could find someone to hook up with. Your Grandpop bought me a drink and then another and before you know it we were both three sheets to the wind. I don't remember much else about that night except that I never could find my underpants.
Grandchild: Ewwww….
You: Your Grandpop and I didn't see each other again until that fateful day when we both showed up at the student health center at the same time to be treated for the same STD. The rest is history!
Crystal structures, kept here for reference =
'''
## Na2RhO3 (PBE)

Data for a relaxed Na2RhO3 crystal.

Structure (POSCAR):
```
Na2RhO3
1.0
-5.312 0.723 0.765
1.133 -3.822 3.812
1.929 5.085 0.915
O Rh Na
6 2 4
Cartesian
-0.494 1.834 3.482
0.567 -1.911 1.906
-1.755 0.153 2.010
-1.691 2.904 0.840
-4.305 1.695 2.008
2.056 0.292 3.483
0.134 0.035 2.807
-2.383 1.952 2.684
-2.121 4.887 1.730
'''
Girls, this scenario isn't a Meet Cute. It's also not a Meet Cute to be so wasted that you are no longer aware of your surroundings and can no longer protect yourself. You never know which guys are looking to live out some rape fantasy, so you've gotta be ready to look out for your own safety.
The moral of the story is this: If you are looking for love, you won't find it with meaningless (or unwanted) sex. So go put on some respectable clothes and head to the coffee shop or bookstore or church where you have a realistic chance of having a genuine Meet Cute with someone whom you might actually want to know for more than one night.